Slice of Life: Hiking, Biking, Boating

tree in fall(This is for the Slice of Life, hosted by Two Writing Teachers. We write on Tuesdays about the small moments in the larger perspective and then all through March — every single day  …  You write, too.)

Here in New England, this October is breathtakingly beautiful. The trees are in the midst of change. The air is crisp and clean but still warm enough for comfort once the day kicks in. And with the start of the annual Write Out this long weekend (Write Out runs for the next two weeks), I was determined to get outside and be outside, and I am happy to say: mission accomplished.

On Saturday, we went for a long hike in a neighboring town, on a historic trail. On Sunday, I was for a long bike ride and found a nice “sit spot” along a canal, which is part of a state park area. And yesterday, my wife and I drove an hour north, into Brattleboro, Vermont, where we found a nice boat put-in that began in an alcove of the Connecticut River, and then led us to the river itself, where for a long time, we didn’t see a single person (until a fishing boat showed up).

Kayak in Vermont

Now, I am planning out ways to get my students involved in the Write Out activities, from video writing prompts by National Park Service rangers, to STEAM-themed data and writing journals, and more.

Peace (in the midst of seasonal change),

Write Out Kicks Off — We Hike Into History

Write Out is a partnership between the National Writing Project and the National Park Service, and it starts today and runs for two weeks. There are plenty of free resources, events, writing prompt and more for teachers, students, families and others to do as a celebration of place-based learning, with a STEAM twist.

Learn more: 

We hike a lot but we always try to get out on Write Out weekend, which falls during the start of the changing of the trees here in New England. Yesterday was no exception and we went into the woods to learn more about the disastrous flooding that took place here in our area in the 1800s when a massive dam fell apart, causing the river to rush downstream, destroying villages and killing more than 150 people, and forever altering the landscape.

The Williamsburg Historic Dam Trail had informational markers, and as we wandered into the forest, we imagined the size of the dam (40 feet tall and 500 feet wide) through what remains of it and the damage it must have done (and we got angry about how the wealthy owners got away with it, even though it was their negligence that led to the disaster).

Peace (in wooded history),

Poetry: Focus On Nature

Winter SleepHere are three small poems from this week, as part of my morning “write a poem” routine (and don’t worry too much about editing and revision). These all come via one word prompts off Mastodon, and dovetail nicely into the start of the place-based, nature-themed Write Out project that kicks off tomorrow.

Snake in Water

~~~
No. 1
Eu2DyAl: relaxed, PBE.

## Properties
space group: Fm-3m, No. 225
ΔE to the lowest computed polymorph: 0.091 eV per atom
energy of formation: 0.034 eV/atom

Cell lengths 5.540, 5.540, 5.540 Å; angles 60.00, 60.00, 60.00 degrees
Sites, in units of the cell vectors:
Eu 0.250 0.250 0.250
Eu 0.750 0.750 0.750
Dy 0.000 0.000 0.000
Al 0.500 0.500 0.500

=====

No. 2
Eu2DyAl: relaxed, PBE.

## Properties
space group: P4/mmm, No. 123
ΔE to the lowest computed polymorph: 0.030 eV per atom
energy of formation: -0.027 eV/atom

Cell lengths 3.745, 3.745, 8.940 Å; angles 90.00, 90.00, 90.00 degrees
Sites, in units of the cell vectors:
Eu 0.000 0.000 0.210
Eu 0.000 0.000 0.790
Dy 0.500 0.500 0.500
Al 0.500 0.500 0.000

=====

No. 3
Eu2DyAl: relaxed, PBE.

## Properties
space group: P4/mmm, No. 123
ΔE to the lowest computed polymorph: 0.000 eV per atom
energy of formation: -0.058 eV/atom

Cell lengths 4.821, 4.821, 5.120 Å; angles 90.00, 90.00, 90.00 degrees
Sites, in units of the cell vectors:
Eu 0.000 0.500 0.000
Eu 0.500 0.000 0.000
Dy 0.000 0.000 0.500
Al 0.500 0.500 0.500

=====

No. 4
EuDyAl4: relaxed, PBE.

## Properties
space group: F-43m, No. 216
energy of formation: -0.442 eV/atom

Cell lengths 5.624, 5.624, 5.624 Å; angles 60.00, 60.00, 60.00 degrees
Sites, in units of the cell vectors:
~~~
## So much for the data records

Butterfly Loop

Peace (and noticing),

Write Out: Listening Spots

My friend and NWP colleague shared this out for Write Out (which kicks off this Sunday) as part of a prompt about finding your own Writing Spots. Here, this video essay focuses on a Listening Spot in the natural world, and it is just beautiful.

Peace (and listening),

Book Review: Rewilding (Bringing Wildlife Back To Where It Belongs)

 Rewilding: Bringing Wildlife Back Where It Belongs

This is a beautiful book. Rewilding (Bringing Wildife Back To Where It Belongs) by David A. Steen and Chiara Fedele is a work of art, but a work of art with a message about ways to save animals.

As the title suggests, this picture book for older readers explores the tricky science of re-introducing species of animals and plants — who are either no longer in their native landscapes or are on the brink of being lost to the landscapes — to their native habitats.

From the Tigers of Sariska to Snot Otters to Wild Horses, Lynx and Peregrine Falcons, to Island Foxes and Maine Caribou, and so much more, the book explores the success, failures and worries of the movement to help animals get a solid footing in places where humans or climate change have forced them out. The book acknowledges rather openly how difficult the process can be, and how controversial it can become, particularly when it comes to larger predators being introduced in areas where farms and communities have been established.

But the overall theme is one of finding balance in nature, and of humans doing their part to perhaps right some of the wrongs of the past, when our need for land and resources overrode our need to share the land with other creatures. There is no one fix, nor one way to make amends, the book suggests, but perhaps, with our own skills in science and innovation, we can help some species to survive.

The artwork in the book is wonderful, and engaging, and this book would be a perfect fit for any upper elementary or middle school classroom.

Note: I read this book because of Write Out kicks off in a few days. More information is here: It’s free, place-based activities connecting writing and inquiry to the National Park Service, and other spaces, through the coordination of the National Writing Project.

Peace (saving it),

Musical Composition: Listening To Landscapes

My National Writing Project friends down in Southern Connecticut are hosting an event this month at the Weir Farm National Historic Site, inviting their educators to a theme of “Reading Landscapes & Writing Nature” for the 2022 Write Out Project. Bryan C shared out a StoryMap he has been building, and shared it out, and I followed his map and story, but I kept coming back to the phrase: Reading Landscapes.

I had this inspiration to make a piece of instrumental music, using that theme of “Reading Landscapes” that eventually morphed into “Listening To Landscapes” as my guiding muse. So I pulled out my keyboard, opened up some music software, and began to compose.

All through the making of the music, I had certain memories in my mind — of wandering through a forest on a path, of pausing on a rocky overlook on a mountain top, of floating on a river on kayak, of sensing peace in a dark wooded area, of returning to the path.

My piece — A Quiet Walk In Four Parts (Listening To Landscapes) — captured what I was remembering, and imagining, and “reading” the landscape from previous outdoor adventures, and each “path” wanders musically into the next.

Thank you, Bryan, for setting song in motion.

Peace (play it),